Next, type out all of the entries further below unchanged.

No. 1
LiBeH5N2F4 | PBE-GGA | optimized geometry

DFT total energy = -269.6 eV for the cell shown
energy relative to the elements = -22.3 eV per formula unit
energy with MP2020 corrections = -5.327 eV per atom

Cell: 9.9257 8.9572 5.1687 Å, 90.00 90.00 90.00°
Last column: nearest neighbours and their distance in Å.
Positions (direct):
Li (0.1786, 0.0648, 0.0000)  4 F 1.86-1.91
Li (0.3214, 0.5648, 0.5000)  4 F 1.86-1.91
Li (0.6786, 0.4352, 0.0000)  4 F 1.86-1.91
Li (0.8214, 0.9352, 0.5000)  4 F 1.86-1.91
Be (0.1593, 0.8721, 0.4950)  4 F 1.55-1.59
Be (0.3407, 0.3721, 0.9950)  4 F 1.55-1.59
Be (0.6593, 0.6279, 0.4950)  4 F 1.55-1.59
Be (0.8407, 0.1279, 0.9950)  4 F 1.55-1.59
H (0.0194, 0.5428, 0.8067)  1 N 1.04
H (0.0265, 0.2022, 0.3464)  1 N 1.04
H (0.0530, 0.2267, 0.6673)  1 N 1.04
H (0.1184, 0.6179, 0.0310)  1 N 1.02
H (0.1580, 0.3060, 0.4462)  1 N 1.04
H (0.3420, 0.8060, 0.9462)  1 N 1.04
H (0.3816, 0.1179, 0.5310)  1 N 1.02
H (0.4470, 0.7267, 0.1673)  1 N 1.04
H (0.4735, 0.7022, 0.8464)  1 N 1.04
H (0.4806, 0.0428, 0.3067)  1 N 1.04
H (0.5194, 0.9572, 0.8067)  1 N 1.04
H (0.5265, 0.2978, 0.3464)  1 N 1.04
H (0.5530, 0.2733, 0.6673)  1 N 1.04
H (0.6184, 0.8821, 0.0310)  1 N 1.02
H (0.6580, 0.1940, 0.4462)  1 N 1.04
H (0.8420, 0.6940, 0.9462)  1 N 1.04
H (0.8816, 0.3821, 0.5310)  1 N 1.02
H (0.9470, 0.7733, 0.1673)  1 N 1.04
H (0.9735, 0.7978, 0.8464)  1 N 1.04
H (0.9806, 0.4572, 0.3067)  1 N 1.04
N (0.0212, 0.5871, 0.9916)  2 H 1.02-1.04
N (0.0581, 0.2776, 0.4862)  3 H 1.04
N (0.4419, 0.7776, 0.9862)  3 H 1.04
N (0.4788, 0.0871, 0.4916)  2 H 1.02-1.04
N (0.5212, 0.9129, 0.9916)  2 H 1.02-1.04
N (0.5581, 0.2224, 0.4862)  3 H 1.04
N (0.9419, 0.7224, 0.9862)  3 H 1.04
N (0.9788, 0.4129, 0.4916)  2 H 1.02-1.04
F (0.0003, 0.1438, 0.9726)  1 Be 1.59
F (0.9997, 0.8562, 0.4726)  1 Be 1.59
F (0.1960, 0.8921, 0.7906)  1 Be 1.58
F (0.2035, 0.0146, 0.3458)  1 Be 1.55
F (0.2249, 0.7294, 0.3825)  1 Be 1.55
F (0.2751, 0.2294, 0.8825)  1 Be 1.55
F (0.2965, 0.5146, 0.8458)  1 Be 1.55
F (0.3040, 0.3921, 0.2906)  1 Be 1.58
F (0.5003, 0.3562, 0.9726)  1 Be 1.59
F (0.4997, 0.6438, 0.4726)  1 Be 1.59
F (0.6960, 0.6079, 0.7906)  1 Be 1.58
F (0.7035, 0.4854, 0.3458)  1 Be 1.55
F (0.7249, 0.7706, 0.3825)  1 Be 1.55
F (0.7751, 0.2706, 0.8825)  1 Be 1.55
F (0.7965, 0.9854, 0.8458)  1 Be 1.55
F (0.8040, 0.1079, 0.2906)  1 Be 1.58

---

No. 2
Rh6C19NO15 | PBE-GGA | optimized geometry

DFT total energy = -1236.9 eV for the cell shown
energy relative to the elements = -17.5 eV per formula unit
energy with MP2020 corrections = -7.794 eV per atom

Cell: 9.7982 17.9288 17.9764 Å, 90.00 98.15 90.00°
Last column: nearest neighbours and their distance in Å.
Positions (direct):
Rh (0.0014, 0.0754, 0.4935)  4 C 2.02-2.21
Rh (0.0014, 0.4246, 0.9935)  4 C 2.02-2.21
Rh (0.0037, 0.1895, 0.9687)  2 C 1.91
Rh (0.0037, 0.3105, 0.4687)  2 C 1.91
Rh (0.0374, 0.6840, 0.1273)  2 C 1.91
Rh (0.0374, 0.8160, 0.6273)  2 C 1.91
Rh (0.0441, 0.2071, 0.5896)  2 C 1.90-1.92
Rh (0.0441, 0.2929, 0.0896)  2 C 1.90-1.92
Rh (0.1961, 0.7028, 0.0078)  2 C 1.91
Rh (0.1961, 0.7972, 0.5078)  2 C 1.91
Rh (0.2029, 0.1963, 0.4704)  3 C 1.91-2.13
Rh (0.2029, 0.3037, 0.9704)  3 C 1.91-2.13
Rh (0.7971, 0.6963, 0.0296)  3 C 1.91-2.13
Rh (0.7971, 0.8037, 0.5296)  3 C 1.91-2.13
Rh (0.8039, 0.2028, 0.4922)  2 C 1.91
Rh (0.8039, 0.2972, 0.9922)  2 C 1.91
Rh (0.9559, 0.7071, 0.9104)  2 C 1.90-1.92
Rh (0.9559, 0.7929, 0.4104)  2 C 1.90-1.92
Rh (0.9626, 0.1840, 0.3727)  2 C 1.91
Rh (0.9626, 0.3160, 0.8727)  2 C 1.91
Rh (0.9963, 0.6895, 0.5313)  2 C 1.91
Rh (0.9963, 0.8105, 0.0313)  2 C 1.91
Rh (0.9986, 0.5754, 0.0065)  4 C 2.02-2.21
Rh (0.9986, 0.9246, 0.5065)  4 C 2.02-2.21
C (0.0215, 0.6564, 0.8295)  1 O 1.15
C (0.0215, 0.8436, 0.3295)  1 O 1.15
C (0.0309, 0.1203, 0.3014)  1 O 1.15
C (0.0309, 0.3797, 0.8014)  1 O 1.15
C (0.0947, 0.5062, 0.9422)  1 O 1.18
C (0.0947, 0.9938, 0.4422)  1 O 1.18
C (0.1115, 0.7018, 0.4379)  1 O 1.18
C (0.1115, 0.7982, 0.9379)  1 O 1.18
C (0.1163, 0.6220, 0.5915)  1 O 1.15

No. 1
LiBeH5N2F4 | PBE-GGA | optimized geometry

DFT total energy = -269.6 eV for the cell shown
energy relative to the elements = -22.3 eV per formula unit
energy with MP2020 corrections = -5.327 eV per atom

Cell: 9.9257 8.9572 5.1687 Å, 90.00 90.00 90.00°
Last column: nearest neighbours and their distance in Å.
Positions (direct):
Li (0.1786, 0.0648, 0.0000)  4 F 1.86-1.91
Li (0.3214, 0.5648, 0.5000)  4 F 1.86-1.91
Li (0.6786, 0.4352, 0.0000)  4 F 1.86-1.91
Li (0.8214, 0.9352, 0.5000)  4 F 1.86-1.91
Be (0.1593, 0.8721, 0.4950)  4 F 1.55-1.59
Be (0.3407, 0.3721, 0.9950)  4 F 1.55-1.59
Be (0.6593, 0.6279, 0.4950)  4 F 1.55-1.59
Be (0.8407, 0.1279, 0.9950)  4 F 1.55-1.59
H (0.0194, 0.5428, 0.8067)  1 N 1.04
H (0.0265, 0.2022, 0.3464)  1 N 1.04
H (0.0530, 0.2267, 0.6673)  1 N 1.04
H (0.1184, 0.6179, 0.0310)  1 N 1.02
H (0.1580, 0.3060, 0.4462)  1 N 1.04
H (0.3420, 0.8060, 0.9462)  1 N 1.04
H (0.3816, 0.1179, 0.5310)  1 N 1.02
H (0.4470, 0.7267, 0.1673)  1 N 1.04
H (0.4735, 0.7022, 0.8464)  1 N 1.04
H (0.4806, 0.0428, 0.3067)  1 N 1.04
H (0.5194, 0.9572, 0.8067)  1 N 1.04
H (0.5265, 0.2978, 0.3464)  1 N 1.04
H (0.5530, 0.2733, 0.6673)  1 N 1.04
H (0.6184, 0.8821, 0.0310)  1 N 1.02
H (0.6580, 0.1940, 0.4462)  1 N 1.04
H (0.8420, 0.6940, 0.9462)  1 N 1.04
H (0.8816, 0.3821, 0.5310)  1 N 1.02
H (0.9470, 0.7733, 0.1673)  1 N 1.04
H (0.9735, 0.7978, 0.8464)  1 N 1.04
H (0.9806, 0.4572, 0.3067)  1 N 1.04
N (0.0212, 0.5871, 0.9916)  2 H 1.02-1.04
N (0.0581, 0.2776, 0.4862)  3 H 1.04
N (0.4419, 0.7776, 0.9862)  3 H 1.04
N (0.4788, 0.0871, 0.4916)  2 H 1.02-1.04
N (0.5212, 0.9129, 0.9916)  2 H 1.02-1.04
N (0.5581, 0.2224, 0.4862)  3 H 1.04
N (0.9419, 0.7224, 0.9862)  3 H 1.04
N (0.9788, 0.4129, 0.4916)  2 H 1.02-1.04
F (0.0003, 0.1438, 0.9726)  1 Be 1.59
F (0.9997, 0.8562, 0.4726)  1 Be 1.59
F (0.1960, 0.8921, 0.7906)  1 Be 1.58
F (0.2035, 0.0146, 0.3458)  1 Be 1.55
F (0.2249, 0.7294, 0.3825)  1 Be 1.55
F (0.2751, 0.2294, 0.8825)  1 Be 1.55
F (0.2965, 0.5146, 0.8458)  1 Be 1.55
F (0.3040, 0.3921, 0.2906)  1 Be 1.58
F (0.5003, 0.3562, 0.9726)  1 Be 1.59
F (0.4997, 0.6438, 0.4726)  1 Be 1.59
F (0.6960, 0.6079, 0.7906)  1 Be 1.58
F (0.7035, 0.4854, 0.3458)  1 Be 1.55
F (0.7249, 0.7706, 0.3825)  1 Be 1.55
F (0.7751, 0.2706, 0.8825)  1 Be 1.55
F (0.7965, 0.9854, 0.8458)  1 Be 1.55
F (0.8040, 0.1079, 0.2906)  1 Be 1.58

---

No. 2
Rh6C19NO15 | PBE-GGA | optimized geometry

DFT total energy = -1236.9 eV for the cell shown
energy relative to the elements = -17.5 eV per formula unit
energy with MP2020 corrections = -7.794 eV per atom

Cell: 9.7982 17.9288 17.9764 Å, 90.00 98.15 90.00°
Last column: nearest neighbours and their distance in Å.
Positions (direct):
Rh (0.0014, 0.0754, 0.4935)  4 C 2.02-2.21
Rh (0.0014, 0.4246, 0.9935)  4 C 2.02-2.21
Rh (0.0037, 0.1895, 0.9687)  2 C 1.91
Rh (0.0037, 0.3105, 0.4687)  2 C 1.91
Rh (0.0374, 0.6840, 0.1273)  2 C 1.91
Rh (0.0374, 0.8160, 0.6273)  2 C 1.91
Rh (0.0441, 0.2071, 0.5896)  2 C 1.90-1.92
Rh (0.0441, 0.2929, 0.0896)  2 C 1.90-1.92
Rh (0.1961, 0.7028, 0.0078)  2 C 1.91
Rh (0.1961, 0.7972, 0.5078)  2 C 1.91
Rh (0.2029, 0.1963, 0.4704)  3 C 1.91-2.13
Rh (0.2029, 0.3037, 0.9704)  3 C 1.91-2.13
Rh (0.7971, 0.6963, 0.0296)  3 C 1.91-2.13
Rh (0.7971, 0.8037, 0.5296)  3 C 1.91-2.13
Rh (0.8039, 0.2028, 0.4922)  2 C 1.91
Rh (0.8039, 0.2972, 0.9922)  2 C 1.91
Rh (0.9559, 0.7071, 0.9104)  2 C 1.90-1.92
Rh (0.9559, 0.7929, 0.4104)  2 C 1.90-1.92
Rh (0.9626, 0.1840, 0.3727)  2 C 1.91
Rh (0.9626, 0.3160, 0.8727)  2 C 1.91
Rh (0.9963, 0.6895, 0.5313)  2 C 1.91
Rh (0.9963, 0.8105, 0.0313)  2 C 1.91
Rh (0.9986, 0.5754, 0.0065)  4 C 2.02-2.21
Rh (0.9986, 0.9246, 0.5065)  4 C 2.02-2.21
C (0.0215, 0.6564, 0.8295)  1 O 1.15
C (0.0215, 0.8436, 0.3295)  1 O 1.15
C (0.0309, 0.1203, 0.3014)  1 O 1.15
C (0.0309, 0.3797, 0.8014)  1 O 1.15
C (0.0947, 0.5062, 0.9422)  1 O 1.18
C (0.0947, 0.9938, 0.4422)  1 O 1.18
C (0.1115, 0.7018, 0.4379)  1 O 1.18
C (0.1115, 0.7982, 0.9379)  1 O 1.18
C (0.1163, 0.6220, 0.5915)  1 O 1.15